To do.
What is needed: return the lines underneath up to the one that holds "114.82 In.upf", that line included.
Excerpt.
/*
1.
Compound: Ce2YPu
Source: Alexandria
Functional: GGA-PBE
Structure: optimized geometry Values from VASP.

Cell and atoms, written as Quantum ESPRESSO input:
```
&SYSTEM
  ibrav = 0, nat = 4, ntyp = 3
/
ATOMIC_SPECIES
Y 88.91 Y.upf
Ce 140.12 Ce.upf
Pu 244.00 Pu.upf
ATOMIC_POSITIONS crystal
Y 0.500 0.500 0.500
Ce 0.000 0.000 0.773
Ce 0.000 0.000 0.227
Pu 0.500 0.500 0.000
CELL_PARAMETERS angstrom
3.395 0.000 0.000
0.000 3.395 0.000
0.000 0.000 9.710
```

Output
excess energy over the best structure of this formula in the dataset = 0.000 eV/f.u.
energy = -32.2 eV for the cell shown
space group = No. 123
calculated volume = 27.98 Å³/atom
ΔH_f (0 K) = 0.116 eV per atom

2.
Compound: TbYPu2N4
Source: Alexandria
Functional: GGA-PBE
Structure: optimized geometry Values from VASP.

Cell and atoms, written as Quantum ESPRESSO input:
```
&SYSTEM
  ibrav = 0, nat = 8, ntyp = 4
/
ATOMIC_SPECIES
Tb 158.93 Tb.upf
Y 88.91 Y.upf
Pu 244.00 Pu.upf
N 14.01 N.upf
ATOMIC_POSITIONS crystal
Tb 0.000 0.000 0.000
Y 0.500 0.500 0.000
Pu 0.500 0.000 0.500
Pu 0.000 0.500 0.500
N 0.500 0.258 0.259
N 0.500 0.742 0.741
N 0.000 0.243 0.741
N 0.000 0.757 0.259
CELL_PARAMETERS angstrom
3.483 0.000 0.000
0.000 6.023 0.074
0.000 -2.133 5.643
```

Output
energy = -84.4 eV for the cell shown
space group = No. 10
calculated volume = 14.86 Å³/atom

3.
Compound: Zn3Ni8B2
Source: Alexandria
Functional: GGA-PBE
Structure: optimized geometry Values from VASP.

Cell and atoms, written as Quantum ESPRESSO input:
```
&SYSTEM
  ibrav = 0, nat = 13, ntyp = 3
/
ATOMIC_SPECIES
Zn 65.41 Zn.upf
Ni 58.69 Ni.upf
B 10.81 B.upf
ATOMIC_POSITIONS crystal
Zn 0.500 0.000 0.000
Zn 0.000 0.304 0.000
Zn 0.000 0.696 0.000
Ni 0.000 0.675 0.350
Ni 0.000 0.325 0.650
Ni 0.000 0.134 0.269
Ni 0.000 0.866 0.731
Ni 0.500 0.589 0.699
Ni 0.500 0.109 0.699
Ni 0.500 0.891 0.301
Ni 0.500 0.411 0.301
B 0.500 0.239 0.477
B 0.500 0.761 0.523
CELL_PARAMETERS angstrom
-0.899 2.605 -2.334
-6.371 -1.480 0.801
2.830 4.784 4.251
```

Output
energy = -65.0 eV for the cell shown
space group = No. 65
calculated volume = 11.30 Å³/atom
ΔH_f (0 K) = -0.118 eV per atom

4.
Compound: CoRu2Au
Source: Alexandria
Functional: GGA-PBE
Structure: optimized geometry Values from VASP.

Cell and atoms, written as Quantum ESPRESSO input:
```
&SYSTEM
  ibrav = 0, nat = 4, ntyp = 3
/
ATOMIC_SPECIES
Au 196.97 Au.upf
Co 58.93 Co.upf
Ru 101.07 Ru.upf
ATOMIC_POSITIONS crystal
Au 0.250 0.750 0.500
Co 0.750 0.250 0.500
Ru 0.000 0.000 0.000
Ru 0.500 0.500 0.000
CELL_PARAMETERS angstrom
4.773 -0.015 0.000
1.788 4.426 0.000
-3.280 -2.205 2.676
```

Output
excess energy over the best structure of this formula in the dataset = 0.651 eV/f.u.
energy = -27.3 eV for the cell shown
space group = No. 139
calculated volume = 14.15 Å³/atom
ΔH_f (0 K) = 0.411 eV per atom

5.
Compound: Te2SeCl
Source: Alexandria
Functional: GGA-PBE
Structure: optimized geometry Values from VASP.

Cell and atoms, written as Quantum ESPRESSO input:
```
&SYSTEM
  ibrav = 0, nat = 4, ntyp = 3
/
ATOMIC_SPECIES
Cl 35.45 Cl.upf
Se 78.96 Se.upf
Te 127.60 Te.upf
ATOMIC_POSITIONS crystal
Cl 0.500 0.000 0.500
Se 0.000 0.500 0.500
Te 0.000 0.000 0.000
Te 0.500 0.500 0.000
CELL_PARAMETERS angstrom
5.302 0.036 0.000
-1.179 5.169 0.000
0.000 0.000 3.531
```

Output
excess energy over the best structure of this formula in the dataset = 1.926 eV/f.u.
energy = -10.3 eV for the cell shown
space group = No. 65
calculated volume = 24.23 Å³/atom

6.
Compound: PrErIn
Source: Alexandria
Functional: GGA-PBE
Structure: optimized geometry Values from VASP.

Cell and atoms, written as Quantum ESPRESSO input:
```
&SYSTEM
  ibrav = 0, nat = 3, ntyp = 3
/
ATOMIC_SPECIES
Pr 140.91 Pr.upf
In 114.82 In.upf
Er 167.26 Er.upf
ATOMIC_POSITIONS crystal
Pr 0.353 0.333 0.667
In 0.750 0.667 0.333
Er 0.897 0.000 0.000
CELL_PARAMETERS angstrom
-2.854 1.855 1.588
-3.266 -1.825 -3.737
0.703 -2.743 4.467
```

Output
excess energy over the best structure of this formula in the dataset = 0.294 eV/f.u.
*/
Done.
1.
Compound: Ce2YPu
Source: Alexandria
Functional: GGA-PBE
Structure: optimized geometry Values from VASP.

Cell and atoms, written as Quantum ESPRESSO input:
```
&SYSTEM
  ibrav = 0, nat = 4, ntyp = 3
/
ATOMIC_SPECIES
Y 88.91 Y.upf
Ce 140.12 Ce.upf
Pu 244.00 Pu.upf
ATOMIC_POSITIONS crystal
Y 0.500 0.500 0.500
Ce 0.000 0.000 0.773
Ce 0.000 0.000 0.227
Pu 0.500 0.500 0.000
CELL_PARAMETERS angstrom
3.395 0.000 0.000
0.000 3.395 0.000
0.000 0.000 9.710
```

Output
excess energy over the best structure of this formula in the dataset = 0.000 eV/f.u.
energy = -32.2 eV for the cell shown
space group = No. 123
calculated volume = 27.98 Å³/atom
ΔH_f (0 K) = 0.116 eV per atom

2.
Compound: TbYPu2N4
Source: Alexandria
Functional: GGA-PBE
Structure: optimized geometry Values from VASP.

Cell and atoms, written as Quantum ESPRESSO input:
```
&SYSTEM
  ibrav = 0, nat = 8, ntyp = 4
/
ATOMIC_SPECIES
Tb 158.93 Tb.upf
Y 88.91 Y.upf
Pu 244.00 Pu.upf
N 14.01 N.upf
ATOMIC_POSITIONS crystal
Tb 0.000 0.000 0.000
Y 0.500 0.500 0.000
Pu 0.500 0.000 0.500
Pu 0.000 0.500 0.500
N 0.500 0.258 0.259
N 0.500 0.742 0.741
N 0.000 0.243 0.741
N 0.000 0.757 0.259
CELL_PARAMETERS angstrom
3.483 0.000 0.000
0.000 6.023 0.074
0.000 -2.133 5.643
```

Output
energy = -84.4 eV for the cell shown
space group = No. 10
calculated volume = 14.86 Å³/atom

3.
Compound: Zn3Ni8B2
Source: Alexandria
Functional: GGA-PBE
Structure: optimized geometry Values from VASP.

Cell and atoms, written as Quantum ESPRESSO input:
```
&SYSTEM
  ibrav = 0, nat = 13, ntyp = 3
/
ATOMIC_SPECIES
Zn 65.41 Zn.upf
Ni 58.69 Ni.upf
B 10.81 B.upf
ATOMIC_POSITIONS crystal
Zn 0.500 0.000 0.000
Zn 0.000 0.304 0.000
Zn 0.000 0.696 0.000
Ni 0.000 0.675 0.350
Ni 0.000 0.325 0.650
Ni 0.000 0.134 0.269
Ni 0.000 0.866 0.731
Ni 0.500 0.589 0.699
Ni 0.500 0.109 0.699
Ni 0.500 0.891 0.301
Ni 0.500 0.411 0.301
B 0.500 0.239 0.477
B 0.500 0.761 0.523
CELL_PARAMETERS angstrom
-0.899 2.605 -2.334
-6.371 -1.480 0.801
2.830 4.784 4.251
```

Output
energy = -65.0 eV for the cell shown
space group = No. 65
calculated volume = 11.30 Å³/atom
ΔH_f (0 K) = -0.118 eV per atom

4.
Compound: CoRu2Au
Source: Alexandria
Functional: GGA-PBE
Structure: optimized geometry Values from VASP.

Cell and atoms, written as Quantum ESPRESSO input:
```
&SYSTEM
  ibrav = 0, nat = 4, ntyp = 3
/
ATOMIC_SPECIES
Au 196.97 Au.upf
Co 58.93 Co.upf
Ru 101.07 Ru.upf
ATOMIC_POSITIONS crystal
Au 0.250 0.750 0.500
Co 0.750 0.250 0.500
Ru 0.000 0.000 0.000
Ru 0.500 0.500 0.000
CELL_PARAMETERS angstrom
4.773 -0.015 0.000
1.788 4.426 0.000
-3.280 -2.205 2.676
```

Output
excess energy over the best structure of this formula in the dataset = 0.651 eV/f.u.
energy = -27.3 eV for the cell shown
space group = No. 139
calculated volume = 14.15 Å³/atom
ΔH_f (0 K) = 0.411 eV per atom

5.
Compound: Te2SeCl
Source: Alexandria
Functional: GGA-PBE
Structure: optimized geometry Values from VASP.

Cell and atoms, written as Quantum ESPRESSO input:
```
&SYSTEM
  ibrav = 0, nat = 4, ntyp = 3
/
ATOMIC_SPECIES
Cl 35.45 Cl.upf
Se 78.96 Se.upf
Te 127.60 Te.upf
ATOMIC_POSITIONS crystal
Cl 0.500 0.000 0.500
Se 0.000 0.500 0.500
Te 0.000 0.000 0.000
Te 0.500 0.500 0.000
CELL_PARAMETERS angstrom
5.302 0.036 0.000
-1.179 5.169 0.000
0.000 0.000 3.531
```

Output
excess energy over the best structure of this formula in the dataset = 1.926 eV/f.u.
energy = -10.3 eV for the cell shown
space group = No. 65
calculated volume = 24.23 Å³/atom

6.
Compound: PrErIn
Source: Alexandria
Functional: GGA-PBE
Structure: optimized geometry Values from VASP.

Cell and atoms, written as Quantum ESPRESSO input:
```
&SYSTEM
  ibrav = 0, nat = 3, ntyp = 3
/
ATOMIC_SPECIES
Pr 140.91 Pr.upf
In 114.82 In.upf